What if everything you know about the story of Medusa is wrong? You know that she turns men to stone. You may know that Perseus the great hero killed her and used her head as a weapon to gain his glory. If you’re really up on the story, you might even know that...
Befriend your body. Rewrite the story of your life.
This is
Wisdom Bites
Endless Summer
It’s damn cold, isn’t it? Good, it should be this time of year. I lived in the tropics for four years. Winter meant wrapping a light sweater around my sundress. On the coldest days, I wore closed-toe shoes. People often look at me in awe when I tell them about my life...
The Heartbreak Cure
I have found a cure for all that ails our hearts. It’s called living with a broken heart. Give me a minute of your time -- it gets better. The History of Your Broken Heart Anyone who is living wisely will have their heart broken -- regularly, routinely, effectively....
How to Act
If you believe that laying down arms is the only way to surrender, you're not getting the whole picture. We get this concept confused when it comes to others’ behavior. Their behavior may be wrong, unethical, criminal, unjust, or simply not what we would do. Humans...
The Red Flag of the White Flag
Surrender is a white flag that raises a ton of red flags. We are taught to defend at all costs. We are taught that letting our guard take a break leaves us at risk. Yet we are never taught that keeping our shield up all the time keeps the good stuff out too. Of course...
A Witch at Home
Data records, kept here for reference:
~~~
1 | First-principles (PBE with a Hubbard U) data for a relaxed WO crystal, as listed in Alexandria.

Magnetic moment = 0.3 Bohr magnetons per cell
D(E_F) = 0.071 states/eV/f.u.

Structure (CIF):
```
data_WO
_symmetry_space_group_name_H-M 'P 4/m'
_symmetry_Int_Tables_number 83
_cell_length_a 9.064
_cell_length_b 9.064
_cell_length_c 3.071
_cell_angle_alpha 90.00
_cell_angle_beta 90.00
_cell_angle_gamma 90.00
loop_
_symmetry_equiv_pos_as_xyz
'x,y,z'
'-x,-y,-z'
'-y,x,z'
'y,-x,-z'
'-x,-y,z'
'x,y,-z'
'y,-x,z'
'-y,x,-z'
loop_
_atom_site_label
_atom_site_fract_x
_atom_site_fract_y
_atom_site_fract_z
W1 0.120 0.228 0.000
W2 0.121 0.643 0.500
O1 0.108 0.398 0.500
O2 0.274 0.647 0.000
```

---

2 | First-principles (PBE with a Hubbard U) data for a relaxed WO crystal, as listed in Alexandria.

Magnetic moment = 0.0 Bohr magnetons per cell
D(E_F) = 0.442 states/eV/f.u.

Structure (CIF):
```
data_WO
_symmetry_space_group_name_H-M 'P 63 m c'
_symmetry_Int_Tables_number 186
_symmetry_space_group_name_Hall 'P 6c -2c'
_cell_length_a 2.8438
_cell_length_b 2.8438
_cell_length_c 7.0364
_cell_angle_alpha 90.00
_cell_angle_beta 90.00
_cell_angle_gamma 120.00
loop_
_atom_site_label
_atom_site_fract_x
_atom_site_fract_y
_atom_site_fract_z
W1 0.3333 0.6667 0.0000
O1 0.3333 0.6667 0.7019
```

---

Stability summary: most stable 1, least stable 2.

~~~~~

This record from the Alexandria database describes crystalline BaBiSe2N at its relaxed geometry. The functional is GGA-PBE.

Results
SG ... P4/mmm
Uncorrected formation energy ... -0.18 eV/atom
DOS at the Fermi energy ... 2.44 states/eV per cell
Volume ... 28.89 A^3/atom
M_tot ... 1.38 μB/f.u.

abc: 5.6610 5.6610 4.5080
angles: 90.00 90.00 90.00
With the nearest neighbours (Å) after each atom.
Sites, in units of the cell vectors:
1 N 0.0000 0.0000 0.5000  2 Bi 2.25
2 Bi 0.0000 0.0000 0.0000  2 N 2.25
3 Se 0.0000 0.5000 0.0000  2 Bi 2.83
4 Se 0.5000 0.0000 0.0000  2 Bi 2.83
5 Ba 0.5000 0.5000 0.5000  8 Se 3.62, 4 N 4.00

~~~~~

Model i:
MnIrCl2: relaxed, GGA-PBEsol.

Output
* space group: P4/mmm

a b c (Å): 2.892 2.892 9.441
angles (deg): 90.00 90.00 90.00
Each line ends with the local moment (μB).
Positions (direct):
1 Ir 0.500 0.500 0.000  1.61
2 Cl 0.000 0.000 0.665  0.15
3 Mn 0.500 0.500 0.500  4.21
4 Cl 0.000 0.000 0.335  0.15

Model ii:
MnIrCl2: relaxed, GGA-PBEsol.

Output
* space group: C2/m

a b c (Å): 3.204 4.976 4.976
angles (deg): 108.56 107.36 107.36
Each line ends with the local moment (μB).
Positions (direct):
1 Mn 0.000 0.500 0.500  4.06
2 Cl 0.000 0.000 0.500  0.05
3 Cl 0.000 0.500 0.000  0.05
4 Ir 0.000 0.000 0.000  0.20

Energy comparison, zero being the most stable, in eV/atom: model i 0.318; model ii 0.000.

Model i:
Mo2IrCl: relaxed, GGA-PBEsol.

Output
* space group: I-4m2

a b c (Å): 3.734 3.734 5.061
angles (deg): 111.65 111.65 90.00
Positions (direct):
1 Cl 0.500 0.500 0.000
2 Mo 0.000 0.000 0.000
3 Ir 0.250 0.750 0.500
4 Mo 0.750 0.250 0.500

Model ii:
Mo2IrCl: relaxed, GGA-PBEsol.

Output
~~~
I need to clear something up: I am a witch. I’ve secretly known this since childhood -- I used to silently cheer on the crone with the green face (I mean, that girl dropped a house on her sister and stole her best shoes). But I had no one to share this hidden truth...
An Ode to Angry Women
This is an ode to angry women. If your goal is to keep things as they have been then by all means, be sweet. Give up your needs, practice your best vacant look, and get ready to swallow a thousand razor sharp words when their hand starts creeping up your skirt. But if...
Things You Didn’t Know The Little Mermaid Was Teaching You
We often lack the words to explain difficult concepts to young children. Heartbreak. Selfishness. Deceit. As adults we must contend with these while also trying to protect our children from, or prepare them for the experience of these realities. Enter the fairy tale....
The Right Relationship with Food
We are terribly confused about food. A five-second Google search offers 6,000 ways to deepen my confusion -- and that’s before I go back in time. From the rise of processed food after World War II to the current obsessions with and aversions to fat, carbs, and sugar,...
The Secret about Healing
I practiced as an intuitive healer for 13 years before I began studying Ayurveda. This means I apply Ayurveda to my client work quite differently from other practitioners. My experience diving into the energy of people -- seeing the ways that their bodies carry the...
Work with me
1:1 - Emotional Alchemy
Deeply personal 1:1 support
The Art of Worship
Experience the power of surrender
The Heartbreak Cure
A 1:1 program on turning pain into power
“On this path effort never goes to waste, and there is no failure.”
The Bhagavad Gita 2:40